Search the contents underneath for the word "kcal" and print each line that has it.
1.
The following is a quantum chemistry calculation of the molecule C4H5NO, from the Open Molecules 2025 dataset.

Structure (XYZ):
```
11
Properties=species:S:1:pos:R:3:nbo_charge:R:1
O -1.81970 0.92537 1.15520 -0.512
C -0.88134 0.46482 0.56389 0.568
C -0.66976 0.14677 -0.91600 -0.544
C 0.62550 -0.69919 -0.27824 -0.035
N 1.53576 0.12414 0.28695 -0.535
C 0.33999 -0.25150 1.05220 -0.205
H -1.54883 -0.33749 -1.34326 0.238
H -0.31216 0.91678 -1.60196 0.221
H 0.71452 -1.63913 -0.84714 0.218
H 1.53804 1.06998 -0.08582 0.358
H 0.47797 -0.72055 2.01418 0.228
```

E_tot: -7763.861 eV
2S+1: 1
energy relative to the best compared isomer or geometry (same formula, charge and spin): 257.18 kJ/mol
SMILES string: O=C1C[C@H]2N[C@@H]12
E_HOMO: -9.49 eV

=====

2.
The following is a quantum chemistry calculation of the molecule C4H5NO2, from the Open Molecules 2025 dataset.

Structure (XYZ):
```
12
Properties=species:S:1:pos:R:3:nbo_charge:R:1
O 0.94217 2.25472 0.72690 -0.584
C 0.50826 1.21504 0.28180 0.654
N 1.22528 0.11370 -0.10674 -0.614
C 0.43103 -1.02214 -0.55006 -0.237
C -0.97647 -0.60017 -0.09637 0.024
O -1.04275 -0.12274 1.26533 -0.468
C -0.94947 0.82116 0.20720 -0.049
H 2.21849 0.07104 0.06613 0.413
H 0.71883 -1.96378 -0.07522 0.209
H 0.54789 -1.14537 -1.64142 0.204
H -1.88751 -1.16995 -0.11484 0.231
H -1.73576 1.54849 0.03728 0.217
```

E_tot: -9812.770 eV
2S+1: 1
energy relative to the best compared isomer or geometry (same formula, charge and spin): 149.04 kJ/mol
SMILES string: O=C1NC[C@H]2O[C@@H]12
E_HOMO: -9.69 eV


Record 1
Density functional theory data (ωB97M-V/def2-TZVPD) for a molecular structure, C19H16BrCoN5O4S.

Geometry as XYZ:
```
47
Properties=species:S:1:pos:R:3
Co -0.0305 0.4922 -0.2038
C 0.2340 -2.0295 -3.5351
C 0.0276 -0.8977 -2.5765
N 0.2292 -1.0129 -1.2745
N 0.6543 -2.1572 -0.6667
C 0.7762 -1.9053 0.6186
O 0.5332 -0.7762 1.1837
C 1.2354 -3.0246 1.4863
C 1.3686 -2.8110 2.8565
C 1.7944 -3.8341 3.6925
C 2.0940 -5.0864 3.1730
C 1.9627 -5.3056 1.8050
C 1.5378 -4.2852 0.9695
C -0.3823 0.3919 -2.9676
C -0.6595 0.7939 -4.2999
C -1.0441 2.0771 -4.5670
C -1.1600 3.0064 -3.5041
C -0.8719 2.5609 -2.2282
N -0.5029 1.3216 -1.9329
H 0.5529 -2.9091 -2.9797
H 1.0002 -1.7870 -4.2783
H -0.6885 -2.2695 -4.0730
H 1.1285 -1.8272 3.2370
H 1.8918 -3.6526 4.7573
H 2.4257 -5.8859 3.8263
H 2.1933 -6.2805 1.3891
H 1.4296 -4.4387 -0.0956
H -0.5600 0.0687 -5.0988
H -1.2548 2.3800 -5.5874
H -1.4556 4.0335 -3.6688
H -0.9341 3.2402 -1.3842
O 0.2757 5.6418 3.0979
C 0.1383 4.4788 2.3794
C -1.0909 3.8318 2.2785
C -1.1660 2.6657 1.5438
N -0.0966 2.1449 0.9271
C 1.0709 2.7651 1.0374
Br 2.7390 1.4290 -0.5043
C 1.2446 3.9411 1.7480
H -0.5825 5.8603 3.4750
H -1.9764 4.2230 2.7676
H -2.0914 2.1130 1.4450
H 2.2129 4.4211 1.8096
O -5.0746 -1.0602 0.6712
S -4.1781 -0.5026 1.7271
N -2.6969 -0.0956 1.3498
O -2.2531 -0.0477 0.1740
```

Charge: -2
LUMO level (spin up / spin down) (eV): 4.21 / 4.18
2S+1: 4
E_HOMO (spin up / spin down) (eV): 0.557 / -1.519
Energy relative to the best compared isomer or geometry (same formula, charge and spin) (kcal/mol): 13.50
Orbital gap (spin up / spin down) (eV): 3.649 / 5.701

***

Record 2
Density functional theory data (ωB97M-V/def2-TZVPD) for C19H16ClN3O4S in the gas phase at a distorted geometry.

Geometry as XYZ:
```
44
Properties=species:S:1:pos:R:3
O -1.1549 -1.2764 -2.5888
C -0.9188 -0.1075 -2.3957
N -1.0038 0.5426 -1.2070
C -1.3776 0.0513 0.0390
C -1.7877 -1.2678 0.2339
C -2.1515 -1.6920 1.4988
C -2.1049 -0.8088 2.5592
C -1.7025 0.5017 2.3818
C -1.3433 0.9348 1.1218
H -1.0348 1.9585 0.9671
H -1.6942 1.1665 3.2307
S -2.4748 -1.3616 4.2151
O -3.0178 -0.2859 4.9848
O -3.1688 -2.6098 4.1687
N -0.9313 -1.6123 4.8481
C 0.0053 -2.3953 4.1973
N 1.2501 -1.9332 4.1863
C 2.1823 -2.6629 3.5930
C 1.9254 -3.8686 2.9673
C 0.6193 -4.3448 2.9791
C -0.3633 -3.6060 3.6062
H -1.3863 -3.9357 3.6667
H 0.3753 -5.2865 2.5099
H 2.7178 -4.4229 2.4905
H 3.1794 -2.2435 3.6236
H -0.5383 -0.7822 5.2675
H -2.4878 -2.7011 1.6713
Energy relative to the best compared isomer or geometry (same formula, charge and spin) (kcal/mol): 13.50